Nintex Workflow – PowerShell Find All Workflows Part 1
There are times when you need to find all your workflows in your entire farm. Nintex Workflow installs a command line tool named NWAdmin.exe on the server where you initially ran the MSI. It’s usually located in c:\Program Files\Nintex\Nintex Workflow 2010 (or 2007 if you are on that product).
NWAdmin has a number of operations, but for this post we are interested in the -o FindWorkflows operation. It iterates through the farm and outputs the site, list and workflowname.
The output looks like this:
Active at http://ntx-vadim3:10000
— First List
—- 3 Child Actions Workflow
—- AutoWorkflow1
—- Dont Log Workflow
—- Dummy Actions Workflow
—- First UDA Workflow
—- First Workflow
—- For Each with 1 Action Workflow
—- ForEach 10 Iterations Workflow
—- ForEach 100 Iterations Workflow
—- ForEach 1000 Iterations Workflow
—- TriState Machine Workflow
It’s a nice format and quite legible.
The goal here, is to parse this information so that we can eventually do something with it.
I wrote the following PowerShell script that will run the NWAdmin command, then parse the output so that later one, we can extend the script to do more interesting things.
[IO.Directory]::SetCurrentDirectory((Convert-Path (Get-Location -PSProvider FileSystem)))
# check if we are in the same location as the nwadmin.exe
# find all the workflows and store them in a variable
$foundworkflows = .\nwadmin -o FindWorkflows
foreach($line in $foundworkflows)
if($line.StartsWith(“Active at “))
# get the site url
$site = $line.Replace(“Active at “,””);
if($line.StartsWith(“– “))
# get the list name
_Materials data that have nothing to do with the article_
'''
Sr2Co2O5 | PBE+U | optimized geometry

```
18
Lattice="-8.100 2.774 2.714 8.100 -2.774 2.714 8.100 2.774 -2.714" Properties=species:S:1:pos:R:3 pbc="T T T"
Sr 1.776 0.057 0.000
Sr 6.324 0.057 0.000
Sr 1.776 2.717 2.714
Sr 6.324 2.717 2.714
Co 4.050 -0.357 2.910
Co 0.000 0.000 2.703
Co 8.100 0.000 2.703
Co 4.050 3.131 0.196
O 12.150 0.669 -0.604
O 2.336 2.600 -0.060
O 5.764 2.600 -0.060
O -0.073 1.395 1.354
O 8.173 1.395 1.354
O 2.336 0.174 2.654
O 5.764 0.174 2.654
O -4.050 2.104 2.111
O 0.073 4.152 1.354
O -0.073 1.379 4.068
```

Offset from the most stable computed form ... 1 meV per atom
Total DFT energy (no corrections) ... -6.085 eV/atom
SG ... Ima2, No. 46
DOS(E_F) ... 0.38 states/eV per atom

* * * * *

# 1
Material: TmReTc2
Method: DFT, PBE
State: optimized geometry

a = 4.529 Å, b = 4.529 Å, c = 4.529 Å
α = 60.00°, β = 60.00°, γ = 60.00°
Atoms (fractional coordinates):
Tm 0.000 0.000 0.000
Re 0.500 0.500 0.500
Tc 0.250 0.250 0.250
Tc 0.750 0.750 0.750

Values from the calculation:
* calculated density: 13.9 Mg/m³
* energy: -9.404 eV per atom
* SG: Fm-3m
* D(E_F): 2.43 states/eV per cell

=====

# 2
Material: TmReTc2
Method: DFT, PBE
State: optimized geometry

a = 4.702 Å, b = 4.702 Å, c = 9.168 Å
α = 104.79°, β = 104.79°, γ = 90.18°
Atoms (fractional coordinates):
Tm 0.125 0.875 0.750
Tm 0.875 0.125 0.250
Re 0.375 0.625 0.250
Re 0.625 0.375 0.750
Tc 0.000 0.500 0.000
Tc 0.500 0.000 0.500
Tc 0.500 0.500 0.000
Tc 0.500 0.500 0.500

Values from the calculation:
* calculated density: 9.7 Mg/m³
* energy: -8.511 eV per atom
* SG: C2/c
* D(E_F): 5.64 states/eV per cell

=====

Look up the energy of the first one. -9.404 eV per atom

* * * * *

VASP calculation (PBE) on a relaxed K6Fe3Cl14 crystal.

Output
VASP energy: -0.28978 Ry/atom
ΔE_f (raw): -3170 kJ/mol of formula units
V: 700.1 Å³/cell

Unit cell a=11.2787 b=11.2787 c=6.3547 alpha=90.00 beta=90.00 gamma=120.00
Space group P3 (No. 143)
One atom of each set of equivalent atoms:
K 0.0224 0.5649 0.0000 x3
K 0.3042 0.0953 0.5111 x3
Fe 0.0000 0.0000 0.9382 x1
Fe 0.3333 0.6667 0.4280 x1
Fe 0.6667 0.3333 0.2899 x1
Cl 0.0000 0.0000 0.2907 x1
Cl 0.0719 0.8604 0.8109 x3
Cl 0.1987 0.4546 0.3032 x3
Cl 0.3333 0.6667 0.7810 x1
Cl 0.4619 0.1996 0.0719 x3
Cl 0.5312 0.4034 0.5030 x3

* * * * *

(1)
# Ce3Zn4Co4

Crystalline Ce3Zn4Co4 at its relaxed geometry (GGA-PBE, Alexandria).

```
11
Lattice="3.5448 0.0000 -0.8818 -0.8981 6.3925 -3.6102 0.1148 0.2709 8.0274" Properties=species:S:1:pos:R:3 pbc="T T T"
Ce 0.3496 0.8428 1.4055
Ce 2.4119 5.8205 2.1300
Ce -0.4490 3.1963 -1.8051
Zn 1.1043 1.0997 4.4394
Zn 1.9852 3.2292 0.4145
Zn 1.6572 5.5637 -0.9039
Zn 0.7764 3.4342 3.1210
Co 0.2593 4.9040 1.0425
Co 2.5022 1.7594 2.4929
Co 1.0563 5.0971 -3.3195
Co 1.7052 1.5662 6.8550
```

Output
**Formation energy from the elements**: -20.66 kJ/mol of atoms
**Symmetry**: Immm (71)
**Theoretical density**: 8183 kg/m3
**Magnetic moment**: 0.00 μB per atom
**Uncorrected energy**: -4.880 eV per atom

---

(2)
# CeBIr2Ru
'''
$list = $line.Replace(“– “,””);
if($line.StartsWith(“—- “))
# get the workflow name
$workflowname = $line.Replace(“—- “,””);
$message = “{0} – {1} – {2}” -f $site,$list,$workflowname;
echo $message;
echo “NWAdmin doesn’t exist. Change directory to where NWAdmin.exe lives.”;
In the script, later on, we will replace the lines :
$message = “{0} – {1} – {2}” -f $site,$list,$workflowname;
echo $message;
With something a little more useful.
The output of the above script is :
http://ntx-vadim3:10000 – First List – 3 Child Actions Workflow
http://ntx-vadim3:10000 – First List – AutoWorkflow1
http://ntx-vadim3:10000 – First List – Dont Log Workflow
http://ntx-vadim3:10000 – First List – Dummy Actions Workflow
http://ntx-vadim3:10000 – First List – First UDA Workflow
http://ntx-vadim3:10000 – First List – First Workflow
http://ntx-vadim3:10000 – First List – For Each with 1 Action Workflow
http://ntx-vadim3:10000 – First List – ForEach 10 Iterations Workflow
http://ntx-vadim3:10000 – First List – ForEach 100 Iterations Workflow
http://ntx-vadim3:10000 – First List – ForEach 1000 Iterations Workflow
http://ntx-vadim3:10000 – First List – TriState Machine Workflow
You need to run this script in the folder that contains the NWAdmin.exe or modify the script.